**Exercise:**
Start at the top of the data further down and repeat each line, ending with the one that has "0.250 0.866".

**Excerpt:**
Entry 1:
The following is a PBE calculation of a relaxed structure of YIn2GaBr6, from the Alexandria database.

Results
The uncorrected formation energy comes out at -108.4 kJ/mol of atoms. The value obtained for the density of states at the Fermi level is 0.0 states/eV/cell.

abc: 8.007 8.007 8.221
angles: 60.85 60.85 59.99
Atoms (fractional coordinates):
Y: 0.322 0.322 0.033
In: 0.530 0.530 0.411
In: 0.022 0.022 0.934
Ga: 0.814 0.814 0.557
Br: 0.571 0.183 0.254
Br: 0.183 0.992 0.254
Br: 0.992 0.571 0.254
Br: 0.453 0.663 0.773
Br: 0.663 0.110 0.773
Br: 0.110 0.453 0.773



Entry 2:
The following is a PBE calculation of a relaxed structure of ZnInGaBr4, from the Alexandria database.

Results
The uncorrected formation energy comes out at -69.1 kJ/mol of atoms. The value obtained for the density of states at the Fermi level is 0.0 states/eV/cell.

abc: 7.370 7.571 8.899
angles: 90.00 107.83 90.00
Atoms (fractional coordinates):
Zn: 0.231 0.750 0.308
Zn: 0.769 0.250 0.692
In: 0.757 0.750 0.941
In: 0.243 0.250 0.059
Ga: 0.762 0.750 0.451
Ga: 0.238 0.250 0.549
Br: 0.987 0.503 0.747
Br: 0.013 0.003 0.253
Br: 0.013 0.497 0.253
Br: 0.987 0.997 0.747
Br: 0.428 0.750 0.134
Br: 0.572 0.250 0.866
Br: 0.432 0.750 0.582
Br: 0.568 0.250 0.418



Entry 3:
The following is a PBE calculation of a relaxed structure of GaIr3Br, from the Alexandria database.

Results
The uncorrected formation energy comes out at 157.3 kJ/mol of atoms. The value obtained for the density of states at the Fermi level is 8.0 states/eV/cell.

abc: 4.663 4.663 4.663
angles: 90.00 90.00 90.00
Site moments in Bohr magnetons follow the coordinates.
Atoms (fractional coordinates):
Ir: 0.000 0.500 0.000  1.07
Ir: 0.000 0.000 0.500  0.94
Ir: 0.500 0.000 0.000  0.75
Ga: 0.000 0.000 0.000  -0.05
Br: 0.500 0.500 0.500  0.21



Entry 4:
The following is a PBE calculation of a relaxed structure of GaIrBr2, from the Alexandria database.

Results
The uncorrected formation energy comes out at 71.3 kJ/mol of atoms. The value obtained for the density of states at the Fermi level is 3.1 states/eV/cell.

abc: 4.949 4.949 4.949
angles: 60.00 60.00 60.00
Site moments in Bohr magnetons follow the coordinates.
Atoms (fractional coordinates):
Ir: 0.500 0.500 0.500  1.55
Ga: 0.000 0.000 0.000  0.04
Br: 0.250 0.250 0.250  0.16
Br: 0.750 0.750 0.750  0.16



Entry 5:
The following is a PBE calculation of a relaxed structure of Ga3IrBr, from the Alexandria database.

Results
The uncorrected formation energy comes out at -43.5 kJ/mol of atoms. The value obtained for the density of states at the Fermi level is 2.5 states/eV/cell.

abc: 4.885 4.885 4.885
angles: 90.00 90.00 90.00
Atoms (fractional coordinates):
Ir: 0.000 0.000 0.000
Ga: 0.000 0.500 0.000
Ga: 0.000 0.000 0.500
Ga: 0.500 0.000 0.000
Br: 0.500 0.500 0.500



Entry 6:
The following is a PBE calculation of a relaxed structure of GaIrBr2, from the Alexandria database.

Results
The uncorrected formation energy comes out at 46.6 kJ/mol of atoms. The value obtained for the density of states at the Fermi level is 2.3 states/eV/cell.

abc: 5.810 5.810 8.343
angles: 69.63 69.63 90.00
Atoms (fractional coordinates):
Ir: 0.000 0.000 0.000
Ir: 0.750 0.250 0.500
Ga: 0.500 0.500 0.000
Ga: 0.250 0.750 0.500
Br: 0.715 0.125 0.250
Br: 0.035 0.625 0.250
Br: 0.375 0.285 0.750
Br: 0.875 0.965 0.750



Entry 7:
The following is a PBE calculation of a relaxed structure of GaIrBr2, from the Alexandria database.

Results
The uncorrected formation energy comes out at 41.0 kJ/mol of atoms. The value obtained for the density of states at the Fermi level is 2.7 states/eV/cell.

abc: 10.062 10.062 10.062
angles: 18.23 18.23 18.23
Atoms (fractional coordinates):
Ir: 0.000 0.000 0.000
Ga: 0.500 0.500 0.500
Br: 0.920 0.920 0.920
Br: 0.080 0.080 0.080



Entry 8:
The following is a PBE calculation of a relaxed structure of GaIrBr3, from the Alexandria database.

Results

**Completed:**
Entry 1:
The following is a PBE calculation of a relaxed structure of YIn2GaBr6, from the Alexandria database.

Results
The uncorrected formation energy comes out at -108.4 kJ/mol of atoms. The value obtained for the density of states at the Fermi level is 0.0 states/eV/cell.

abc: 8.007 8.007 8.221
angles: 60.85 60.85 59.99
Atoms (fractional coordinates):
Y: 0.322 0.322 0.033
In: 0.530 0.530 0.411
In: 0.022 0.022 0.934
Ga: 0.814 0.814 0.557
Br: 0.571 0.183 0.254
Br: 0.183 0.992 0.254
Br: 0.992 0.571 0.254
Br: 0.453 0.663 0.773
Br: 0.663 0.110 0.773
Br: 0.110 0.453 0.773



Entry 2:
The following is a PBE calculation of a relaxed structure of ZnInGaBr4, from the Alexandria database.

Results
The uncorrected formation energy comes out at -69.1 kJ/mol of atoms. The value obtained for the density of states at the Fermi level is 0.0 states/eV/cell.

abc: 7.370 7.571 8.899
angles: 90.00 107.83 90.00
Atoms (fractional coordinates):
Zn: 0.231 0.750 0.308
Zn: 0.769 0.250 0.692
In: 0.757 0.750 0.941
In: 0.243 0.250 0.059
Ga: 0.762 0.750 0.451
Ga: 0.238 0.250 0.549
Br: 0.987 0.503 0.747
Br: 0.013 0.003 0.253
Br: 0.013 0.497 0.253
Br: 0.987 0.997 0.747
Br: 0.428 0.750 0.134
Br: 0.572 0.250 0.866